Given.
********
A plane-wave DFT calculation with PBE-GGA was carried out for a relaxed structure of Th2ScGa4Pd3.

Formation energy in eV/atom: -0.72
Volume in Å³ per cell: 202.6
Crystal system: tetragonal

Unit cell a=4.1999 b=4.1999 c=11.4852 alpha=90.00 beta=90.00 gamma=90.00
Fractional coordinates of all 10 atoms:
Th  0.0000  0.5000  0.2324
Th  0.5000  0.0000  0.7676
Sc  0.0000  0.0000  0.5000
Ga  0.0000  0.0000  0.0000
Ga  0.0000  0.5000  0.6533
Ga  0.5000  0.0000  0.3467
Ga  0.5000  0.5000  0.0000
Pd  0.0000  0.5000  0.8700
Pd  0.5000  0.0000  0.1300
Pd  0.5000  0.5000  0.5000

=====

A plane-wave DFT calculation with PBE-GGA was carried out for a relaxed structure of ScTi2GaPd.

Formation energy in eV/atom: 0.98
Volume in Å³ per cell: 100.1
Crystal system: tetragonal

Unit cell a=4.4971 b=4.4971 c=4.9485 alpha=90.00 beta=90.00 gamma=90.00
Fractional coordinates of all 5 atoms:
Sc  0.0000  0.0000  0.0000
Ti  0.0000  0.5000  0.0000
Ti  0.5000  0.0000  0.0000
Ga  0.0000  0.0000  0.5000
Pd  0.5000  0.5000  0.5000

=====

A plane-wave DFT calculation with PBE-GGA was carried out for a relaxed structure of Tm2Sc2Ga4Pd.

Formation energy in eV/atom: -0.46
Volume in Å³ per cell: 185.2
Crystal system: tetragonal

Unit cell a=6.4145 b=6.4145 c=6.4145 alpha=120.50 beta=120.50 gamma=89.13
Fractional coordinates of all 9 atoms:
Tm  0.2500  0.7500  0.5000
Tm  0.7500  0.2500  0.5000
Sc  0.2220  0.2220  0.0000
Sc  0.7780  0.7780  0.0000
Ga  0.2200  0.2200  0.4401
Ga  0.2200  0.7800  0.0000
Ga  0.7800  0.2200  0.0000
Ga  0.7800  0.7800  0.5599
Pd  0.5000  0.5000  0.0000

~~~~~

{"formula": "KTe2Pd2", "functional": "PBE-GGA", "state": "relaxed", "de_polymorph_mev_per_atom": 26, "lattice_angstrom": [[6.903, -0.014, 0.000], [-3.213, 6.110, 0.000], [-1.845, -3.048, 6.726]], "species": ["K", "K", "Te", "Te", "Te", "Te", "Pd", "Pd", "Pd", "Pd"], "frac_coords": [[0.500, 0.500, 0.000], [0.750, 0.250, 0.500], [0.188, 0.812, 0.000], [0.812, 0.188, 0.000], [0.062, 0.938, 0.500], [0.438, 0.562, 0.500], [0.892, 0.892, 0.784], [0.108, 0.108, 0.216], [0.142, 0.642, 0.284], [0.358, 0.858, 0.716]]}

=====

{"formula": "KTe8Pd6", "functional": "PBE-GGA", "state": "relaxed", "final_energy_ev_per_atom": -4.19, "lattice_angstrom": [[-2.556, 6.044, -3.452], [-4.696, 1.519, 5.534], [4.950, 4.366, 3.378]], "species": ["K", "Te", "Te", "Te", "Te", "Te", "Te", "Te", "Te", "Pd", "Pd", "Pd", "Pd", "Pd", "Pd"], "frac_coords": [[0.000, 0.000, 0.000], [0.748, 0.748, 0.748], [0.252, 0.252, 0.252], [0.615, 0.846, 0.261], [0.846, 0.261, 0.615], [0.261, 0.615, 0.846], [0.385, 0.154, 0.739], [0.154, 0.739, 0.385], [0.739, 0.385, 0.154], [0.589, 0.436, 0.812], [0.436, 0.812, 0.589], [0.812, 0.589, 0.436], [0.411, 0.564, 0.188], [0.564, 0.188, 0.411], [0.188, 0.411, 0.564]]}

=====

{"formula": "KTe2Pd2", "functional": "PBE-GGA", "state": "relaxed", "de_polymorph_mev_per_atom": 188, "lattice_angstrom": [[8.378, 0.000, 0.000], [0.000, 8.378, 0.000], [0.000, 0.000, 3.289]], "species": ["K", "K", "Te", "Te", "Te", "Te", "Pd", "Pd", "Pd", "Pd"], "frac_coords": [[0.000, 0.000, 0.000], [0.500, 0.500, 0.000], [0.167, 0.667, 0.500], [0.667, 0.833, 0.500], [0.833, 0.333, 0.500], [0.333, 0.167, 0.500], [0.379, 0.879, 0.000], [0.879, 0.621, 0.000], [0.621, 0.121, 0.000], [0.121, 0.379, 0.000]]}
********
Work order.
Please repeat the lines further up up to the one that holds "185.2", that line included.
Worked solution.
A plane-wave DFT calculation with PBE-GGA was carried out for a relaxed structure of Th2ScGa4Pd3.

Formation energy in eV/atom: -0.72
Volume in Å³ per cell: 202.6
Crystal system: tetragonal

Unit cell a=4.1999 b=4.1999 c=11.4852 alpha=90.00 beta=90.00 gamma=90.00
Fractional coordinates of all 10 atoms:
Th  0.0000  0.5000  0.2324
Th  0.5000  0.0000  0.7676
Sc  0.0000  0.0000  0.5000
Ga  0.0000  0.0000  0.0000
Ga  0.0000  0.5000  0.6533
Ga  0.5000  0.0000  0.3467
Ga  0.5000  0.5000  0.0000
Pd  0.0000  0.5000  0.8700
Pd  0.5000  0.0000  0.1300
Pd  0.5000  0.5000  0.5000

=====

A plane-wave DFT calculation with PBE-GGA was carried out for a relaxed structure of ScTi2GaPd.

Formation energy in eV/atom: 0.98
Volume in Å³ per cell: 100.1
Crystal system: tetragonal

Unit cell a=4.4971 b=4.4971 c=4.9485 alpha=90.00 beta=90.00 gamma=90.00
Fractional coordinates of all 5 atoms:
Sc  0.0000  0.0000  0.0000
Ti  0.0000  0.5000  0.0000
Ti  0.5000  0.0000  0.0000
Ga  0.0000  0.0000  0.5000
Pd  0.5000  0.5000  0.5000

=====

A plane-wave DFT calculation with PBE-GGA was carried out for a relaxed structure of Tm2Sc2Ga4Pd.

Formation energy in eV/atom: -0.46
Volume in Å³ per cell: 185.2